Job.
What is needed: write out the lines below character by character.

Entries.
'''
[1]
Below is a cluster of 2 separate species, C6H11N in total, with properties calculated with the ωB97M-V functional and the def2-TZVPD basis.

Computed properties:
Strongest force on any atom: 0.0119 hartree/bohr
Total charge: 0
Molar mass: 97.2 g mol⁻¹
HOMO-LUMO gap: 9.67 eV
HOMO energy: -0.3177 hartree
SMILES string: CC=C=N.C=CC

Element x y z (Å)
C 1.51 -0.59 2.78
C 1.49 -0.49 1.28
C 1.20 0.61 0.59
C -1.82 0.60 -1.54
C -1.21 0.65 -2.92
C -1.66 -0.41 -0.71
N -1.56 -1.38 0.04
H 0.82 -1.37 3.14
H 2.51 -0.86 3.14
H 1.22 0.36 3.24
H 1.74 -1.41 0.74
H -0.76 -1.29 0.67
H 0.95 1.54 1.09
H 1.21 0.62 -0.49
H -2.45 1.42 -1.21
H -0.67 1.59 -3.08
H -0.51 -0.18 -3.07
H -1.98 0.58 -3.70

***

[2]
Below is the molecule C8H9IO5, with properties calculated with the ωB97M-V functional and the def2-TZVPD basis.

Computed properties:
Strongest force on any atom: 0.1029 hartree/bohr
Total charge: 0
Molar mass: 312.1 g mol⁻¹
HOMO-LUMO gap (alpha / beta): 7.50 / 7.49 eV
HOMO energy (alpha / beta): -0.2881 / -0.2879 hartree

Element x y z (Å)
C 1.85 -0.24 -0.33
C 0.64 0.01 -0.91
C 0.52 -0.30 -2.33
C -1.87 -0.09 -0.72
C -1.81 0.41 -2.18
C 0.16 -0.94 1.83
C 1.36 -0.11 2.02
C -0.58 0.44 -0.15
O 1.37 -0.70 -3.08
O 2.29 -0.37 0.95
O -0.73 -0.26 -2.88
O 1.99 -0.38 3.22
O -0.34 1.64 0.40
I -1.46 -0.40 3.16
H 2.49 -0.48 -1.17
H -2.69 0.33 -0.24
H -1.97 -1.20 -0.94
H -2.66 0.22 -2.65
H -1.76 1.56 -2.05
H 0.38 -1.94 1.94
H 1.00 1.04 2.06
H 2.97 -0.19 3.30
H -1.16 1.95 0.76

***

[3]
Below is a structure of composition C24H36BN6P2RhSbSe4, with properties calculated with the ωB97M-V functional and the def2-TZVPD basis.

Computed properties:
Multiplicity: 5
Strongest force on any atom: 0.0224 hartree/bohr
Total charge: +1
Molar mass: 1021.9 g mol⁻¹
HOMO-LUMO gap (alpha / beta): 6.77 / 5.61 eV
HOMO energy (alpha / beta): -0.3951 / -0.4142 hartree

Element x y z (Å)
Rh -0.78 -0.55 -1.30
C 2.29 0.45 -2.43
P 1.51 -0.58 -1.16
C 1.91 0.28 0.40
N 3.11 0.79 0.53
C 3.37 1.47 1.67
C 4.65 2.04 1.86
C 4.91 2.73 3.01
C 3.91 2.87 4.01
C 2.67 2.33 3.85
C 2.38 1.61 2.66
N 1.14 1.07 2.51
C 0.91 0.42 1.40
P -0.76 -0.32 1.09
C -0.65 -1.87 2.05
C -2.04 0.65 2.04
C -3.41 0.09 1.67
C -2.01 2.13 1.66
C -1.85 0.50 3.56
C 2.49 -2.17 -1.10
C 2.55 -2.82 -2.48
C 3.93 -1.88 -0.66
C 1.83 -3.11 -0.10
H 3.29 0.73 -2.11
H 1.68 1.34 -2.58
H 2.33 -0.09 -3.38
H 5.39 1.92 1.09
H 5.88 3.16 3.17
H 4.15 3.42 4.91
H 1.90 2.43 4.59
H -0.15 -1.68 3.00
H -0.11 -2.63 1.49
H -1.65 -2.25 2.24
H -3.70 0.36 0.65
H -4.15 0.53 2.34
H -3.48 -0.99 1.78
H -2.19 2.28 0.60
H -1.07 2.61 1.94
H -2.81 2.63 2.21
H -1.99 -0.54 3.87
H -2.63 1.08 4.04
H -0.88 0.85 3.91
H 3.10 -2.23 -3.20
H 1.57 -3.05 -2.90
H 3.07 -3.78 -2.38
H 4.43 -1.15 -1.29
H 4.49 -2.82 -0.72
H 3.98 -1.53 0.37
H 0.78 -3.29 -0.32
H 1.91 -2.72 0.92
H 2.35 -4.07 -0.11
B -2.47 1.30 -3.24
N -3.41 0.44 -2.34
C -4.72 0.24 -2.42
C -5.08 -0.80 -1.59
C -3.88 -1.21 -1.02
N -2.88 -0.44 -1.48
N -1.57 2.17 -2.34
C -1.44 3.50 -2.34
C -0.40 3.85 -1.50
C 0.06 2.64 -1.01
N -0.65 1.63 -1.52
H -3.15 2.00 -3.94
H -1.76 0.54 -3.86
H -5.32 0.86 -3.08
H -6.05 -1.20 -1.41
H -3.68 -1.97 -0.28
H -2.09 4.10 -2.95
H -0.03 4.84 -1.29
H 0.86 2.47 -0.32
Se -0.29 -6.01 -2.62
Sb -2.03 -4.34 -2.08
Se -4.07 -4.59 -3.46
Se -2.51 -4.54 0.22
Se -1.00 -2.17 -3.01

***

[4]
Below is the molecule C5H8O2, with properties calculated with the ωB97M-V functional and the def2-TZVPD basis.

Computed properties:
Strongest force on any atom: 0.0746 hartree/bohr
Total charge: 0
Molar mass: 100.1 g mol⁻¹
HOMO-LUMO gap: 10.15 eV
HOMO energy: -0.3531 hartree
SMILES string: C=C[C@@H](O)C(C)=O

Element x y z (Å)
C 0.56 0.18 0.39
C -1.63 1.51 0.65
C -1.00 0.26 0.08
C 0.80 -1.27 0.14
C 1.52 -1.93 -0.76
O 1.29 1.04 -0.45
O -1.55 -0.28 -0.89
H 1.01 0.83 -1.36
H 0.74 0.40 1.44
H -0.20 -1.76 0.53
H -2.55 1.25 1.18
H -1.83 2.22 -0.15
H -0.95 2.01 1.35
H 1.47 -3.01 -0.84
H 2.32 -1.44 -1.30

***

[5]
Below is the molecule C4H12N2O, with properties calculated with the ωB97M-V functional and the def2-TZVPD basis.
'''

Solution.
[1]
Below is a cluster of 2 separate species, C6H11N in total, with properties calculated with the ωB97M-V functional and the def2-TZVPD basis.

Computed properties:
Strongest force on any atom: 0.0119 hartree/bohr
Total charge: 0
Molar mass: 97.2 g mol⁻¹
HOMO-LUMO gap: 9.67 eV
HOMO energy: -0.3177 hartree
SMILES string: CC=C=N.C=CC

Element x y z (Å)
C 1.51 -0.59 2.78
C 1.49 -0.49 1.28
C 1.20 0.61 0.59
C -1.82 0.60 -1.54
C -1.21 0.65 -2.92
C -1.66 -0.41 -0.71
N -1.56 -1.38 0.04
H 0.82 -1.37 3.14
H 2.51 -0.86 3.14
H 1.22 0.36 3.24
H 1.74 -1.41 0.74
H -0.76 -1.29 0.67
H 0.95 1.54 1.09
H 1.21 0.62 -0.49
H -2.45 1.42 -1.21
H -0.67 1.59 -3.08
H -0.51 -0.18 -3.07
H -1.98 0.58 -3.70

***

[2]
Below is the molecule C8H9IO5, with properties calculated with the ωB97M-V functional and the def2-TZVPD basis.

Computed properties:
Strongest force on any atom: 0.1029 hartree/bohr
Total charge: 0
Molar mass: 312.1 g mol⁻¹
HOMO-LUMO gap (alpha / beta): 7.50 / 7.49 eV
HOMO energy (alpha / beta): -0.2881 / -0.2879 hartree

Element x y z (Å)
C 1.85 -0.24 -0.33
C 0.64 0.01 -0.91
C 0.52 -0.30 -2.33
C -1.87 -0.09 -0.72
C -1.81 0.41 -2.18
C 0.16 -0.94 1.83
C 1.36 -0.11 2.02
C -0.58 0.44 -0.15
O 1.37 -0.70 -3.08
O 2.29 -0.37 0.95
O -0.73 -0.26 -2.88
O 1.99 -0.38 3.22
O -0.34 1.64 0.40
I -1.46 -0.40 3.16
H 2.49 -0.48 -1.17
H -2.69 0.33 -0.24
H -1.97 -1.20 -0.94
H -2.66 0.22 -2.65
H -1.76 1.56 -2.05
H 0.38 -1.94 1.94
H 1.00 1.04 2.06
H 2.97 -0.19 3.30
H -1.16 1.95 0.76

***

[3]
Below is a structure of composition C24H36BN6P2RhSbSe4, with properties calculated with the ωB97M-V functional and the def2-TZVPD basis.

Computed properties:
Multiplicity: 5
Strongest force on any atom: 0.0224 hartree/bohr
Total charge: +1
Molar mass: 1021.9 g mol⁻¹
HOMO-LUMO gap (alpha / beta): 6.77 / 5.61 eV
HOMO energy (alpha / beta): -0.3951 / -0.4142 hartree

Element x y z (Å)
Rh -0.78 -0.55 -1.30
C 2.29 0.45 -2.43
P 1.51 -0.58 -1.16
C 1.91 0.28 0.40
N 3.11 0.79 0.53
C 3.37 1.47 1.67
C 4.65 2.04 1.86
C 4.91 2.73 3.01
C 3.91 2.87 4.01
C 2.67 2.33 3.85
C 2.38 1.61 2.66
N 1.14 1.07 2.51
C 0.91 0.42 1.40
P -0.76 -0.32 1.09
C -0.65 -1.87 2.05
C -2.04 0.65 2.04
C -3.41 0.09 1.67
C -2.01 2.13 1.66
C -1.85 0.50 3.56
C 2.49 -2.17 -1.10
C 2.55 -2.82 -2.48
C 3.93 -1.88 -0.66
C 1.83 -3.11 -0.10
H 3.29 0.73 -2.11
H 1.68 1.34 -2.58
H 2.33 -0.09 -3.38
H 5.39 1.92 1.09
H 5.88 3.16 3.17
H 4.15 3.42 4.91
H 1.90 2.43 4.59
H -0.15 -1.68 3.00
H -0.11 -2.63 1.49
H -1.65 -2.25 2.24
H -3.70 0.36 0.65
H -4.15 0.53 2.34
H -3.48 -0.99 1.78
H -2.19 2.28 0.60
H -1.07 2.61 1.94
H -2.81 2.63 2.21
H -1.99 -0.54 3.87
H -2.63 1.08 4.04
H -0.88 0.85 3.91
H 3.10 -2.23 -3.20
H 1.57 -3.05 -2.90
H 3.07 -3.78 -2.38
H 4.43 -1.15 -1.29
H 4.49 -2.82 -0.72
H 3.98 -1.53 0.37
H 0.78 -3.29 -0.32
H 1.91 -2.72 0.92
H 2.35 -4.07 -0.11
B -2.47 1.30 -3.24
N -3.41 0.44 -2.34
C -4.72 0.24 -2.42
C -5.08 -0.80 -1.59
C -3.88 -1.21 -1.02
N -2.88 -0.44 -1.48
N -1.57 2.17 -2.34
C -1.44 3.50 -2.34
C -0.40 3.85 -1.50
C 0.06 2.64 -1.01
N -0.65 1.63 -1.52
H -3.15 2.00 -3.94
H -1.76 0.54 -3.86
H -5.32 0.86 -3.08
H -6.05 -1.20 -1.41
H -3.68 -1.97 -0.28
H -2.09 4.10 -2.95
H -0.03 4.84 -1.29
H 0.86 2.47 -0.32
Se -0.29 -6.01 -2.62
Sb -2.03 -4.34 -2.08
Se -4.07 -4.59 -3.46
Se -2.51 -4.54 0.22
Se -1.00 -2.17 -3.01

***

[4]
Below is the molecule C5H8O2, with properties calculated with the ωB97M-V functional and the def2-TZVPD basis.

Computed properties:
Strongest force on any atom: 0.0746 hartree/bohr
Total charge: 0
Molar mass: 100.1 g mol⁻¹
HOMO-LUMO gap: 10.15 eV
HOMO energy: -0.3531 hartree
SMILES string: C=C[C@@H](O)C(C)=O

Element x y z (Å)
C 0.56 0.18 0.39
C -1.63 1.51 0.65
C -1.00 0.26 0.08
C 0.80 -1.27 0.14
C 1.52 -1.93 -0.76
O 1.29 1.04 -0.45
O -1.55 -0.28 -0.89
H 1.01 0.83 -1.36
H 0.74 0.40 1.44
H -0.20 -1.76 0.53
H -2.55 1.25 1.18
H -1.83 2.22 -0.15
H -0.95 2.01 1.35
H 1.47 -3.01 -0.84
H 2.32 -1.44 -1.30

***

[5]
Below is the molecule C4H12N2O, with properties calculated with the ωB97M-V functional and the def2-TZVPD basis.